**Entries**
____________
8
Properties=species:S:1:pos:R:3:forces:R:3 method="wB97M-V/def2-TZVPD" gap_ev="7.93 / 7.65" e_lumo_ev="-0.8486 / -1.0088" e_homo_ev="-8.7740 / -8.6548" e_tot_ha=-1755.52260 e_above_lowest_kcal_mol=86.8
C -1.8079 0.3567 -0.2197 2.4 -1.0 0.0
C 1.2565 -0.5951 0.0401 0.2 -0.8 -0.1
Cl 1.3436 -1.4463 1.5243 -0.2 -0.3 -0.1
Cl 1.7477 0.9953 0.1353 0.6 0.8 -0.1
Cl 1.7300 -1.4559 -1.3890 -0.3 0.1 0.4
I -1.3589 2.3181 0.0888 -0.5 0.8 -0.2
H -1.0483 -0.1018 -0.9939 -2.0 0.6 1.5
H -1.8628 -0.0709 0.8140 -0.3 -0.3 -1.4

---

14
Properties=species:S:1:pos:R:3:forces:R:3 method="wB97M-V/def2-TZVPD" gap_ev=10.86 e_lumo_ev=1.0228 e_homo_ev=-9.8351 e_tot_ha=-324.64756 e_above_lowest_kcal_mol=48.3
N 2.5540 0.2667 0.5085 -0.6 -0.2 -0.6
C 1.4726 -0.0257 -0.0702 0.0 0.0 0.0
O 0.9404 -1.2351 -0.4571 -0.2 -0.5 0.5
C -0.3393 -0.6556 -0.9174 0.3 -0.3 0.3
C -1.4008 -0.5130 0.1897 0.1 -0.2 0.2
C -0.7860 0.8306 0.6311 0.0 0.2 0.2
C 0.2615 0.7574 -0.5092 -0.1 -0.1 -0.4
H 3.1571 -0.5428 0.6781 -0.3 0.1 0.0
H -0.6572 -1.2525 -1.7887 0.4 1.1 -0.2
H -1.3521 -1.3515 0.8831 -0.1 0.1 0.2
H -2.4468 -0.3947 -0.1297 0.5 -0.2 -0.3
H -0.3900 0.8199 1.6484 0.1 0.3 -0.2
H -1.4467 1.6872 0.4981 -0.1 -0.1 0.2
H 0.4333 1.6091 -1.1647 -0.1 0.0 0.1

---

154
Properties=species:S:1:pos:R:3:forces:R:3 method="wB97M-V/def2-TZVPD" gap_ev=8.41 e_lumo_ev=-2.3461 e_homo_ev=-10.7595 e_tot_ha=-4251.38551 charge=+1
C -0.9674 0.7325 4.1282 -0.1 -0.4 0.0
C -0.7611 -0.3486 2.9369 0.1 0.9 -1.2
C -0.1216 0.4414 1.6715 0.1 -0.1 -0.5
C 1.4073 0.9394 1.9443 -1.7 1.7 -0.1
O 2.2128 0.4960 0.8183 1.6 0.0 0.6
C 3.5250 0.0017 1.1760 0.3 -1.9 0.6
C 3.2782 -1.4258 1.9871 -0.2 0.9 1.1
O 2.0862 -2.1436 1.5406 2.3 -0.3 0.3
C 2.3516 -3.4899 1.0397 2.8 -1.6 2.8
N 4.3600 0.8440 2.0611 -0.6 -0.4 -2.0
C 4.9740 2.0452 1.3998 -0.1 1.5 1.9
C 6.5233 2.0964 1.8654 0.5 -0.4 -0.1
C 7.5771 2.7539 0.8376 1.2 1.3 1.0
C 8.8005 3.4067 1.7446 1.1 -0.8 -0.5
C 10.1462 2.4807 1.5204 -0.8 -0.4 0.0
C 10.8220 2.6598 0.0591 -0.4 -0.5 -0.1
N 11.4860 4.0014 -0.1639 -1.4 -0.5 -0.1
C 4.2350 3.3275 2.1413 1.8 2.2 -2.2
C 4.9460 4.7837 1.4766 -3.3 2.0 0.5
C 3.9246 6.1516 1.5619 2.0 -2.9 -3.4
O 4.2759 5.3321 0.2051 2.2 -0.2 4.0
C 4.6834 2.2198 -0.1743 -1.6 1.3 1.1
N 4.7170 0.9276 -0.9906 0.5 0.3 0.0
C 6.0286 0.7059 -1.7129 2.5 -0.9 -1.7
C 6.3851 1.7932 -2.8598 0.3 0.2 -1.0
P 3.4131 1.1572 -2.2428 -1.1 -0.2 -3.5
S 3.5444 -0.0214 -3.7689 -0.1 0.2 0.7
C 4.4941 -0.3123 -0.1385 0.2 -1.7 2.7
O 4.1254 -1.4912 -0.8834 1.4 1.0 1.0
C 5.1773 -2.5179 -0.7736 1.3 -1.5 -0.2
C 4.9147 -3.8415 -1.6586 0.4 -1.4 0.3
C 5.8276 -5.0338 -0.9748 0.6 1.2 0.4
O 5.3369 -3.6649 -3.0568 -0.2 -0.7 1.2
H -0.9078 0.1659 5.1371 -0.4 1.2 -1.6
H -1.9912 1.2618 3.9809 1.8 -1.0 0.5
H -0.1610 1.5788 4.1443 -1.3 -1.7 -0.1
H -0.0581 -1.2317 3.1910 -1.2 1.5 -0.2
H -1.7879 -0.7788 2.5735 1.9 0.7 0.9
H -0.7661 1.3806 1.3803 1.1 -1.8 0.8
H -0.0968 -0.2100 0.6947 0.1 1.0 2.0
H 1.3715 2.1146 1.8941 0.3 -2.1 0.2
H 1.8161 0.6854 2.9929 -0.7 0.0 -1.8
H 3.0461 -1.0836 3.0890 0.5 -0.7 -2.0
H 4.2377 -2.0713 2.0636 -1.7 1.0 -0.4
H 1.4362 -4.1485 1.3671 2.0 1.1 -0.4
H 2.3130 -3.4436 -0.1073 3.9 -0.4 3.0
H 3.3044 -3.9946 1.4636 -1.2 1.2 -0.2
H 3.9581 1.0429 2.9886 0.1 -0.1 -0.9
H 6.5448 2.6712 2.8895 0.0 -1.0 -2.1
H 6.9031 1.0160 2.1301 -0.9 2.0 -0.6
H 8.1276 1.9872 0.1406 -1.5 1.4 1.2
H 7.1636 3.6678 0.2274 0.5 -2.1 0.9
H 9.0277 4.4978 1.4168 -0.4 -1.8 0.6
H 8.5873 3.3752 2.8783 0.1 0.2 -1.9
H 9.7771 1.3666 1.5923 0.7 2.0 -0.1
H 10.8945 2.6196 2.4080 -1.2 -0.1 -1.9
H 11.5571 1.7679 -0.1091 -1.1 1.7 0.4
H 10.0220 2.5596 -0.7959 1.2 -0.1 1.8
H 10.9327 4.4794 -0.9153 0.9 -0.3 1.3
H 11.4552 4.5683 0.7022 0.0 -0.4 -0.9
H 4.4694 3.3521 3.2740 -0.5 -0.2 -1.9
H 3.1133 3.4078 1.8830 1.8 -0.3 0.6
H 6.1465 4.9655 1.6563 -3.4 -0.3 -0.7
H 4.4658 7.1845 1.6092 -1.4 -2.1 -0.2
H 2.7901 5.9998 1.4074 2.0 0.6 1.6
H 3.5645 2.5804 -0.2514 2.1 -0.6 0.3
H 5.2909 3.0811 -0.6779 -0.9 -2.0 1.0
H 5.9874 -0.3344 -2.2582 -0.3 2.1 1.1
H 6.8988 0.5854 -0.9346 -2.0 0.6 -1.2
H 7.5321 2.0237 -2.9481 -2.2 -0.6 0.6
____________

**Job**
Next, retype only the last part of the calculation results earlier on, starting with the line that has "0.1897 0.1".

**Outcome**
C -1.4008 -0.5130 0.1897 0.1 -0.2 0.2
C -0.7860 0.8306 0.6311 0.0 0.2 0.2
C 0.2615 0.7574 -0.5092 -0.1 -0.1 -0.4
H 3.1571 -0.5428 0.6781 -0.3 0.1 0.0
H -0.6572 -1.2525 -1.7887 0.4 1.1 -0.2
H -1.3521 -1.3515 0.8831 -0.1 0.1 0.2
H -2.4468 -0.3947 -0.1297 0.5 -0.2 -0.3
H -0.3900 0.8199 1.6484 0.1 0.3 -0.2
H -1.4467 1.6872 0.4981 -0.1 -0.1 0.2
H 0.4333 1.6091 -1.1647 -0.1 0.0 0.1

---

154
Properties=species:S:1:pos:R:3:forces:R:3 method="wB97M-V/def2-TZVPD" gap_ev=8.41 e_lumo_ev=-2.3461 e_homo_ev=-10.7595 e_tot_ha=-4251.38551 charge=+1
C -0.9674 0.7325 4.1282 -0.1 -0.4 0.0
C -0.7611 -0.3486 2.9369 0.1 0.9 -1.2
C -0.1216 0.4414 1.6715 0.1 -0.1 -0.5
C 1.4073 0.9394 1.9443 -1.7 1.7 -0.1
O 2.2128 0.4960 0.8183 1.6 0.0 0.6
C 3.5250 0.0017 1.1760 0.3 -1.9 0.6
C 3.2782 -1.4258 1.9871 -0.2 0.9 1.1
O 2.0862 -2.1436 1.5406 2.3 -0.3 0.3
C 2.3516 -3.4899 1.0397 2.8 -1.6 2.8
N 4.3600 0.8440 2.0611 -0.6 -0.4 -2.0
C 4.9740 2.0452 1.3998 -0.1 1.5 1.9
C 6.5233 2.0964 1.8654 0.5 -0.4 -0.1
C 7.5771 2.7539 0.8376 1.2 1.3 1.0
C 8.8005 3.4067 1.7446 1.1 -0.8 -0.5
C 10.1462 2.4807 1.5204 -0.8 -0.4 0.0
C 10.8220 2.6598 0.0591 -0.4 -0.5 -0.1
N 11.4860 4.0014 -0.1639 -1.4 -0.5 -0.1
C 4.2350 3.3275 2.1413 1.8 2.2 -2.2
C 4.9460 4.7837 1.4766 -3.3 2.0 0.5
C 3.9246 6.1516 1.5619 2.0 -2.9 -3.4
O 4.2759 5.3321 0.2051 2.2 -0.2 4.0
C 4.6834 2.2198 -0.1743 -1.6 1.3 1.1
N 4.7170 0.9276 -0.9906 0.5 0.3 0.0
C 6.0286 0.7059 -1.7129 2.5 -0.9 -1.7
C 6.3851 1.7932 -2.8598 0.3 0.2 -1.0
P 3.4131 1.1572 -2.2428 -1.1 -0.2 -3.5
S 3.5444 -0.0214 -3.7689 -0.1 0.2 0.7
C 4.4941 -0.3123 -0.1385 0.2 -1.7 2.7
O 4.1254 -1.4912 -0.8834 1.4 1.0 1.0
C 5.1773 -2.5179 -0.7736 1.3 -1.5 -0.2
C 4.9147 -3.8415 -1.6586 0.4 -1.4 0.3
C 5.8276 -5.0338 -0.9748 0.6 1.2 0.4
O 5.3369 -3.6649 -3.0568 -0.2 -0.7 1.2
H -0.9078 0.1659 5.1371 -0.4 1.2 -1.6
H -1.9912 1.2618 3.9809 1.8 -1.0 0.5
H -0.1610 1.5788 4.1443 -1.3 -1.7 -0.1
H -0.0581 -1.2317 3.1910 -1.2 1.5 -0.2
H -1.7879 -0.7788 2.5735 1.9 0.7 0.9
H -0.7661 1.3806 1.3803 1.1 -1.8 0.8
H -0.0968 -0.2100 0.6947 0.1 1.0 2.0
H 1.3715 2.1146 1.8941 0.3 -2.1 0.2
H 1.8161 0.6854 2.9929 -0.7 0.0 -1.8
H 3.0461 -1.0836 3.0890 0.5 -0.7 -2.0
H 4.2377 -2.0713 2.0636 -1.7 1.0 -0.4
H 1.4362 -4.1485 1.3671 2.0 1.1 -0.4
H 2.3130 -3.4436 -0.1073 3.9 -0.4 3.0
H 3.3044 -3.9946 1.4636 -1.2 1.2 -0.2
H 3.9581 1.0429 2.9886 0.1 -0.1 -0.9
H 6.5448 2.6712 2.8895 0.0 -1.0 -2.1
H 6.9031 1.0160 2.1301 -0.9 2.0 -0.6
H 8.1276 1.9872 0.1406 -1.5 1.4 1.2
H 7.1636 3.6678 0.2274 0.5 -2.1 0.9
H 9.0277 4.4978 1.4168 -0.4 -1.8 0.6
H 8.5873 3.3752 2.8783 0.1 0.2 -1.9
H 9.7771 1.3666 1.5923 0.7 2.0 -0.1
H 10.8945 2.6196 2.4080 -1.2 -0.1 -1.9
H 11.5571 1.7679 -0.1091 -1.1 1.7 0.4
H 10.0220 2.5596 -0.7959 1.2 -0.1 1.8
H 10.9327 4.4794 -0.9153 0.9 -0.3 1.3
H 11.4552 4.5683 0.7022 0.0 -0.4 -0.9
H 4.4694 3.3521 3.2740 -0.5 -0.2 -1.9
H 3.1133 3.4078 1.8830 1.8 -0.3 0.6
H 6.1465 4.9655 1.6563 -3.4 -0.3 -0.7
H 4.4658 7.1845 1.6092 -1.4 -2.1 -0.2
H 2.7901 5.9998 1.4074 2.0 0.6 1.6
H 3.5645 2.5804 -0.2514 2.1 -0.6 0.3
H 5.2909 3.0811 -0.6779 -0.9 -2.0 1.0
H 5.9874 -0.3344 -2.2582 -0.3 2.1 1.1
H 6.8988 0.5854 -0.9346 -2.0 0.6 -1.2
H 7.5321 2.0237 -2.9481 -2.2 -0.6 0.6